Scientists have broken the record for the smallest measurements of gravity using a technique they see as having the potential to go much smaller. So small in fact it may help us determine if gravity is quantized, and if so, how general relativity and quantum mechanics are reconciled.
One of the great revelations of the early 20th century is that energy is not continuous, instead existing in minuscule packages, known as quanta. This discovery, stunning on its own, led to numerous follow-ups that demonstrated other things were quantized as well. There remains uncertainty, however, about how far this extends: do time and gravity, for example, also exist in packets so small we have not been able to find them?
The existence of quantized gravity is widely held to be the key to resolving the apparent incompatibility between quantum mechanics and general relativity, our best theory to represent gravity. However, decades of searches have failed to find evidence for this quantization or to explain theoretically how it would work to a standard generally considered acceptable. New experiments take us closer to that goal.
Previously at Leiden University and now at the University of Southampton, Dr Tim Fuchs led a team that used a levitating magnet to measure the effects of gravity on a particle weighing 0.43 milligrams (0.000015 ounces) when cooled to -273.14°C, a tenth of a degree above absolute zero.
The supercold conditions minimize the particle’s vibration, allowing the team to measure a gravitational pull of just 30 attonewtons (3*10-17 N, or to spell it out for impact 0.00000000000000003 N) on it. That is still larger than the likely size of gravity quanta, if they exist. However, Fuchs argues the same technique can go smaller still until it finds out if gravity can have any force, or is restricted to discrete jumps. The approach is analogous to the one used by Robert Millikan to first measure the charge on the electron, showing the total charge on an oil droplet is always a multiple of a specific number.
The ”particle” used, while small, is within our realm of experience – it’s the right order for a grain of sand or sugar. The force is a great deal smaller, produced not by the pull of the whole Earth but by blocks weighing just 1 kilogram (2.2 pounds). A wheel tuned the weights so that their influence on the particle could be measured at different distances.
“For a century, scientists have tried and failed to understand how gravity and quantum mechanics work together,” Fuchs said in a statement. “Now we have successfully measured gravitational signals at a smallest mass ever recorded, it means we are one step closer to finally realizing how it works in tandem.”
“From here we will start scaling the source down using this technique until we reach the quantum world on both sides,” Fuchs continued. “By understanding quantum gravity we could solve some of the mysteries of our universe – like how it began, what happens inside black holes, and uniting all forces into one big theory.”
For this to occur, quantum gravity has to be real, which some physicists doubt. If Fuchs’ work finds no sign of quantization at ever smaller forces, those voices will grow louder.
Although the idea seems simple, gravity is very hard to measure at microscopic scales because it is so weak. It might not feel like that to us, crushed under the weight of a planet that will not release us. In the world of the very small, however, gravity is completely overwhelmed by the strength of the other three forces, and experiments need to find ways to allow for that.
+++
Below is an optimized crystal structure of BaNb2Xe5F22, with properties calculated at the GGA-PBE level.

**ΔH_f (0 K)**: -2.1937 eV/atom
**Crystal system**: orthorhombic

a = 10.085 Å, b = 9.519 Å, c = 9.421 Å
α = 64.34°, β = 58.30°, γ = 57.36°
Sites, in units of the cell vectors:
Ba: 0.000 0.000 0.000
Nb: 0.000 0.500 0.000
Nb: 0.500 0.000 0.500
Xe: 0.000 0.000 0.500
Xe: 0.000 0.500 0.500
Xe: 0.500 0.000 0.000
Xe: 0.500 0.500 0.000
Xe: 0.500 0.500 0.500
F: 0.045 0.293 0.955
F: 0.045 0.606 0.761
F: 0.057 0.697 0.303
F: 0.072 0.928 0.699
F: 0.239 0.412 0.955
F: 0.293 0.045 0.707
F: 0.301 0.699 0.928
F: 0.303 0.943 0.057
F: 0.354 0.646 0.354
F: 0.394 0.955 0.412
F: 0.412 0.239 0.394
F: 0.588 0.761 0.606
F: 0.606 0.045 0.588
F: 0.646 0.354 0.646
F: 0.697 0.057 0.943
F: 0.699 0.301 0.072
F: 0.707 0.955 0.293
F: 0.761 0.588 0.045
F: 0.928 0.072 0.301
F: 0.943 0.303 0.697
F: 0.955 0.394 0.239
F: 0.955 0.707 0.045

=====

Record 1
Entry from the Materials Project database: a relaxed BaCaLaSbO6 crystal (PBE).

```
BaCaLaSbO6
1.0
0.0000 -4.3330 -4.3330
4.3330 0.0000 -4.3330
4.3330 -4.3330 0.0000
O Ba La Sb Ca
6 1 1 1 1
Cartesian
4.3330 -2.3290 -4.3330
4.3330 -4.3330 -2.3290
4.3330 -4.3330 -6.3369
4.3330 -6.3369 -4.3330
2.3290 -4.3330 -4.3330
6.3369 -4.3330 -4.3330
6.4994 -6.4994 -6.4994
0.0000 0.0000 0.0000
4.3330 -4.3330 -4.3330
2.1665 -2.1665 -2.1665
```

Output
DFT formation energy = -2907 meV per atom
total energy = -6.762 eV/atom
E above lowest polymorph = 2.186 kcal/mol of atoms
size of the total moment = 0.000 μB/cell

***

Record 2
Entry from the Materials Project database: a relaxed BaCaLaSbO6 crystal (PBE).

```
BaCaLaSbO6
1.0
-3.7746 -3.8489 2.6550
2.8064 -4.6279 -2.7570
5.4194 -0.5773 6.6333
O Ba Sb Ca La
12 2 2 2 2
Cartesian
1.8802 -2.8079 6.7611
3.7613 -4.5485 2.3066
2.9714 -2.0266 3.5480
2.5710 -6.2462 -0.2298
-0.2577 -6.7643 0.2309
2.4611 -2.4203 0.7665
-1.6299 -3.9225 1.3659
1.9901 -6.6339 5.7648
4.7089 -2.2898 6.3004
1.4798 -7.0276 2.9834
0.6899 -4.5056 4.2248
6.0811 -5.1316 5.1655
3.5069 -4.5058 4.9922
0.9443 -4.5484 1.5391
4.1129 -2.6026 1.9382
-1.8873 -1.9245 1.3275
-2.2428 -4.1450 4.2147
6.6940 -4.9091 2.3166
1.4032 -2.3139 -1.3785
0.8224 -2.2131 4.6442
```

Output
DFT formation energy = -3002 meV per atom
total energy = -6.857 eV/atom
E above lowest polymorph = 0.000 kcal/mol of atoms
size of the total moment = 0.000 μB/cell

=====

DFT (r²SCAN) results for a relaxed Sm2CdIn crystal.

CIF file:
```
data_Sm2CdIn
_chemical_formula_sum 'Sm8 Cd4 In4'
_cell_length_a 7.628
_cell_length_b 7.628
_cell_length_c 7.628
_cell_angle_alpha 90.00
_cell_angle_beta 90.00
_cell_angle_gamma 90.00
_space_group_name_H-M_alt 'F m -3 m'
_space_group_IT_number 225
_space_group_name_Hall '-F 4 2 3'
loop_
_atom_site_label
_atom_site_type_symbol
_atom_site_fract_x
_atom_site_fract_y
_atom_site_fract_z
Sm1 Sm 0.250 0.250 0.250
Cd1 Cd 0.000 0.000 0.000
In1 In 0.000 0.000 0.500
```

## Properties
- size of the total moment (μB/atom) = 0.000
+++
The team needed advanced superconducting traps, precise magnetic fields, and sensitive detectors shielded from vibrations, to do the work. “We’re pushing the boundaries of science,” said co-author Professor Hendrik Ulbricht. “Unravelling these mysteries will help us unlock more secrets about the universe’s very fabric, from the tiniest particles to the grandest cosmic structures.”
The study is open access in Science Advances.
Source Link: Scientists Take Smallest Measurement Of Gravity Ever In Quantum Quest